Thursday, December 31, 2009

More and more progress...

In spite of heavy business took some days of and spent one painting. Started with the second layer of the dress. Also dimmed the color of the baloon, I like striking pink but this color....

Herewith a detail of the dress and the wrinkles of it... Some parts might need a 3rd layer.

Sunday, December 6, 2009

Preparing for the hair....

Today I started with repainting the underdrawing of the hair. Because I wasn't sure how to started I only indicated the hair in the original underpainting. Last drawing the hair ended up like a bundle of straw....Hopefully this will help me in creating more realistic hair.

Old Hair

New Hair

Although it looks that the har is almost overengineered I think it is okay for now. I will lose a lot of detail during the two or three layers glazing I need.

Friday, December 4, 2009

First layer of dress completed....

Today I finsihed the first layer of the dress, more work then expected.. and some layers to go. However the effect is as expected (even better...). Tomorrow I start detailing out the underpainting of the hair.

Friday, November 27, 2009

Wrinkles in the dress

Today I started with coloring the dress using Rembrandt's Ultramarine Blue. A very powerfull but nicely transparant blue. I use a very thin glace with a lot of pigment in there. This shows almost no color on the dark stripes but shows well on the white stripes. Next layer the color will show in full on the darks as well. The white stripes will be uplighted with Titan White using the blue for shadows in the wrinkles. The wrinkels in the dark strips will be highlighted as well.

The detail picture will show more detail on the wrinkles:

Monday, November 23, 2009

Stumbling on...

I know I did it myself.... painting so many bricks and floor elements. It is a hard job to paint everything in one color with different tones. Trying to make 1 whole of the painting. Some of the yellowish (Still the grain) is cooled with violet (sand and floor tiles) and highlights are worked out with warmed titan white. The talon (broken stone) is painted with 1 layer of warmed still de grain. This in order to relfect the sand stone of the orignal.

Friday, November 13, 2009

What a difference a daylight lamp makes.....

This week I decided that I have been brave and surprised myself with a daylight easellamp. What a difference that makes painting durin day and night! Compleet new colors on your painting.....

Today I have spot glazed the wall with oxide red transparent and worked out all highlights with titan white warmed with still the grain yellow. I am quit happy with the result. The next layer, a very thin glaze of probaly transparant white and/or ultramarin blue will cool down the colors and bring these more together. Not so happy with the balloon, need to cool down this color as well. But will keep that to the end.

Sunday, November 1, 2009

The Wall, first layer..

Today I've finished the first layer on the wall. This layer is the color Still de Grain with highlights in Titan White. It still looks like what it is: a colored underpainting. Although some of the bricks in the wall already start looking like a brick I seriously hope that the next layer will bring me more to reality...

Saturday, October 17, 2009

Entering the next stage

For those who asked what is the story behind the painting.....

When your history is one with all what used to be nice is broken

Someday somewhere even you will see a spark of love
Put on your nicest dress and start heading for the exit
Run for the light and leave the all the broken parts behind
If there is no exit you could decide to create one yourself
You could draw a new sparkling world, full of love

Entering the next stage, finished almost with the underpainting (corrected some perspective errors and added some more stone.... have to do some shading), I started with coloring the sky. This shows immediate the effect that I want to achieve, a real breaktrough.

The glazing of the wall is started. I use for the first layer(s) Rembrandt Oils. color Still de Grain. The medium used is Scheveningen Oil Medium. The color still the grain is a slightly darkish kind of yellow, highly transparent but with a lot of pigment. The color layer is applied as a very thin film, most of the details of the underpainting will be seen through the film. The highlights of the underpainting are worked out with Titan White while the glace is still wet.

Friday, October 9, 2009

Lots of progress on the floor...

Today a good day after a week full of illness (flu). I decide to have a new session on the painting and painted the floor and some scenary like the broken timpaal with the picture of some Greece godness.
Next time I'll start to correct some errors in the wall and will make a decision if and if yes what I will place in the arch.

Sunday, October 4, 2009

Tiles and stones...

Finally decided what to use as underground. Just following now the original and make a broken tile floor, partially covered with sand and small rocks..... Also decided that the timbal should look like marmer from the beginning and started to repaint the structure.

Saturday, September 26, 2009

Milestone completed!

Finally I managed to sit down and to complete the wall on the painting and made a start with the other scenery in front. I have a clear idea now about the structure of the street and will make some fine progress next weeks. In front of the broken timbaal there will be some more stone and rocks.

There is some more work to do on the right wall in order to get it straight.

Saturday, September 19, 2009


After a few days of hectic communication training finally got the courage and started with the underpainting for the hair, showing more and more of the concept of the drawing. Will finish the hair this week and maybe the rest of the underpainting (challencing ambition)... Have to do a lot more on the hair (high lights, some more contrast etc.

Sunday, September 13, 2009

Lazy Sunday

Not much to do this Sunday except a short visit to some frends... So picked up the brushes and made an attempt to do a serious par tof the arch.

And still looking for a good tutorial on the hair...

Sunday, September 6, 2009

Spare hours..

Today I had a few spare hours alone at home. Definitely picked the opportunity to paint the arch once more. I'll give the painting one week to dry and then start with the hair. Already struggling what to place on the foreground. I show some drawings next week.
Note that the dark paint of the arch is still wet and will bleach towards the other stones (I hope....)

Saturday, September 5, 2009

Still fighting the perspective...

In spite of a terrible workload I still manage to find time for painting ! Decided to whipe out most of the Arch and to redraw (still fighting perspective); the first stones will be redrawn as well. I also did work on bricks and painted a temperarily head (some of my family found it frighting to see a headless woman... ) while waiing my bricks to dry... I'm planning to paint long blond hair.

Monday, August 31, 2009

Waiting and bricks...

Still wating till the paint on the left side is dry enough to start drawing the head and hair. So started with painting the right side break-out wall. Stones, stones and more stones for the next weeks... I am happy to see that the concept starts to work. Still strugling with cleaning the board!

Saturday, August 29, 2009

Correcting The Perspective

Yep! I have to correct he perspective of my drawing. Using the right gum right now will help definitely....

Definitely improved the view of the drawing. The Perspective brings some dramtic in it as well.

Also I decided to paint already a part of the break-out wall.

**The page is interrupted by calculated crystals:**
<<<
# TaZnAsO | OQMD via LeMat-Bulk | GGA-PBE | relaxed
data_TaZnAsO
_symmetry_space_group_name_H-M 'P 1'
_symmetry_Int_Tables_number 1
_cell_length_a 4.146
_cell_length_b 5.675
_cell_length_c 5.328
_cell_angle_alpha 90.00
_cell_angle_beta 90.00
_cell_angle_gamma 90.00
loop_
_symmetry_equiv_pos_as_xyz
'x,y,z'
loop_
_atom_site_label
_atom_site_type_symbol
_atom_site_fract_x
_atom_site_fract_y
_atom_site_fract_z
_atom_site_occupancy
As1 As 0.000 0.349 0.382 1
As2 As 0.000 0.651 0.882 1
O1 O 0.500 0.824 0.421 1
>>>

I have to explain why I didn't paint the head yet. One of the most challenging parts of painting figures is to have realistic hair painted...
The hair will for sure go over the shoulders and part of the wall.

If you ever have tried to paint a wall and to keep you already painted hair in shape....

I will wait with the hair for 1 week giving the underpainting time to dry. I might continue with the other side in order to check the effect of the break out wall.

Stepping up

Today has been my regular day off, usually that means: work like hell to keep on pace with the office work left over. Basically I don't mind: having a very good cappucino and good music on the radio my production is 5 x better then in the office. So after 2 hours work I decided that I can enjoy painting for several hours now. My wife is at work (sadly because Friday are mostly quality days...)

This is what I produced today (still didn't change the drawing!)

I think the concept will work! I am planning to use a very nice  and transparent light blue for the dress like Cerulean blue. The values set in the underpainting will give me the complementary darker blues. Working out the light stripes with Titan White will make it quite flashy... I think..... hope......

First drawing and tryout underpainting

Someone pasted materials data at this point
+++
Entry from Alexandria via LeMat-Bulk: a relaxed structure of Mo2Ir2Ru (PBE).

Cell: 8.733 3.895 6.142 Å, 90.00 134.53 90.00°
Fractional positions:
Mo 0.090 0.000 0.295
Mo 0.410 0.500 0.705
Mo 0.590 0.500 0.295
Mo 0.910 0.000 0.705
Ir 0.199 0.500 0.101
Ir 0.301 0.000 0.899
Ir 0.699 0.000 0.101
Ir 0.801 0.500 0.899
Ru 0.000 0.500 0.500
Ru 0.500 0.000 0.500

Output
- formation energy (eV per atom) = -0.1463
- space group = C2/m, No. 12

---

Entry from Alexandria via LeMat-Bulk: a relaxed structure of TaAsCl2 (PBE).

Cell: 4.409 4.409 13.583 Å, 90.00 90.00 120.00°
Fractional positions:
Ta 0.000 0.000 0.000
Ta 0.333 0.667 0.667
Ta 0.667 0.333 0.333
As 0.000 0.000 0.207
As 0.333 0.667 0.873
As 0.667 0.333 0.540
Cl 0.000 0.000 0.418
Cl 0.000 0.000 0.656
Cl 0.333 0.667 0.084
Cl 0.333 0.667 0.322
Cl 0.667 0.333 0.751
Cl 0.667 0.333 0.989

Output
- space group = R3m, No. 160
- energy relative to the elements, uncorrected (eV per atom) = -0.06

---

Entry from Alexandria via LeMat-Bulk: a relaxed structure of PmMgScHg (PBE).

Cell: 7.387 7.387 7.387 Å, 90.00 90.00 90.00°
Fractional positions:
Pm 0.000 0.000 0.000
Pm 0.000 0.500 0.500
Pm 0.500 0.000 0.500
Pm 0.500 0.500 0.000
Mg 0.250 0.250 0.250
Mg 0.250 0.750 0.750
Mg 0.750 0.250 0.750
Mg 0.750 0.750 0.250
Sc 0.000 0.000 0.500
Sc 0.000 0.500 0.000
Sc 0.500 0.000 0.000
Sc 0.500 0.500 0.500
Hg 0.250 0.250 0.750
Hg 0.250 0.750 0.250
Hg 0.750 0.250 0.250
Hg 0.750 0.750 0.750

Output
- formation energy (eV per atom) = -0.2375
- space group = F-43m, No. 216

---

Entry from Alexandria via LeMat-Bulk: a relaxed structure of TlTe2 (PBE).

Cell: 5.222 5.222 4.477 Å, 90.00 90.00 120.00°
Fractional positions:
Tl 0.000 0.000 0.000
Te 0.333 0.667 0.440
Te 0.667 0.333 0.560

Output
- space group = P-3m1, No. 164
- energy relative to the elements, uncorrected (eV per atom) = 0.01

---

Entry from Alexandria via LeMat-Bulk: a relaxed structure of InAg2Cl (PBE).

Cell: 13.002 3.451 4.760 Å, 90.00 106.28 90.00°
Fractional positions:
In 0.000 0.000 0.000
In 0.500 0.500 0.000
Ag 0.023 0.500 0.544
Ag 0.349 0.500 0.329
Ag 0.523 0.000 0.544
Ag 0.849 0.000 0.329
Cl 0.203 0.000 0.412
Cl 0.703 0.500 0.412

Output
- space group = Cm, No. 8
- energy relative to the elements, uncorrected (eV per atom) = -0.14

---

Entry from Alexandria via LeMat-Bulk: a relaxed structure of Pm7Pr2Ho3 (PBE).

Cell: 6.468 3.578 17.726 Å, 90.00 95.99 90.00°
Fractional positions:
Pm 0.000 0.000 0.000
Pm 0.228 0.500 0.169
Pm 0.258 0.500 0.497
Pm 0.277 0.000 0.836
Pm 0.723 0.000 0.164
Pm 0.742 0.500 0.503
Pm 0.772 0.500 0.831
Pr 0.058 0.500 0.671
Pr 0.942 0.500 0.329
Ho 0.454 0.000 0.341
Ho 0.500 0.500 0.000
Ho 0.546 0.000 0.659

Output
- formation energy (eV per atom) = 0.0667
- space group = P2/m, No. 10

---

no.,size of the total moment (μB/atom),E (eV per formula unit)
1,0.00,-49.392
2,0.00,-20.450
3,0.10,-13.928
4,0.00,-8.634
5,0.00,-10.848
6,0.00,-55.746
+++

So I am there: started to draw and immediate a beginning with the underpainting. This more or less to see if the color concept I have in my head will work. You have to think in values first......
After drawing and looking at the painting I think I might have a problem with my old friend The Perspectieve. IT AIN'T RIGHT!!! I must have been focussing to much on my raster guidelines..... 
Okay, that's why they have invented gums. After a few minutes gumming the whole painting went a dark kind kind of smokey gray. Sometimes I have all the luck of the world; used a synthetic gum in state of mother nature's own rubber.....
I will first do some more painting to see if the smoke will come through...

From concept to board

Okay, I'm there! I know what I want to paint this time. It will be close to the concept made in PS but a slightly different cut in order to have a better composition.

The painting will be a big one this time, width 60 cm and height 90 cm.

Techniques that I will use are:
  • Coating a MDF panel with Talens Amsterdam Acrylic, black on the backside and a mixture of Titan White and Black (Yes! That will give grey! But with a lot more light density than ready-for-use gray). Usually I apply 3 - 5 layers, sanded in between with grain 400, the last layer I sand with 600.
  • I use a raster of 5 * 5 cm to transfer the the image from paper to board. I will draw only the headlines and work this out on the board.
  • The underpainting will be made using Talens Rembrandt Oil Burned Umber and Titan White. I start working from a midtone (exactly the tone between the umber and white). I try to have enough contrast in the underdrawing already. Focussing a little bit more on the white (high lights) rather then the shades. It is easier to darken then to light....I first finalize the whole underpainting before I start with colors.
  • The colors will be applied using the glazing technique. For colors I use also Talens Rembrandt Oils
Now I will start drawing....

Materializing the concept

After some raw sketches I decide to use Photoshop as electronic scratch path and to workout the concept into some more concrete.

Some thinking and trying brought me to this concept picture:
Probably I will make a cut out as final. Have to sleep about this....

Choosing the main subject

For a few days I have been in doubt over the main subject of the painting.

However during reading some magazines I noticed a advertisal for some summer clothing. The photo showed a running lady in a width cotton summer dress. I really loved the picture and decided to use this as the pose that I would like to have my subject.

Choosing this picture immediate raise some questions:
? Who has the intellectual property of this picture? The magazine redaction is not willing to give any information also the firm delivering this clothing is dazzled with this kind of questions. So having permission is difficult/
? The quality of the picture is poor (at his best...). The magazine is not the highest quality print. Details are hard to see.
? Shall I use the concept of the lovely summerly Greece blue colors?

I will start with doing some Photoshop work to see if my concept will materialize by seeing it on the screen. I am not afraid to admit that I use PS to help me sometimes. I know for sure that even Rembrandt and Leonardo used all help that they could get (and they were much more talented drawers then I am......)

The beginning

After finalizing a painting a serious number of ideas pop-up regarding creating a new painting. Although I usually work on 1 or 2 painting simultaniously ( 1 at home and 1 at course) this process is always painfull. This blog will show you the creative process in creating my current painting, called "The Exit".

What to choose.....?  During my last holiday I spend a week in the lovely city of Side (Turkye) enjovying sun,, Turkish food and the tremendous number of ruines over there. I am more or less addicted to ruines, my imagination can go wild thinking that 2.000 years ago somebody walked the same stones I do. I made a serious number of photos, some really with the idea to use these as examples for paintings.
Here is a picture of the old entrance gate of Side. I really like the this very big gate (approx 15 meters high!). The build-in and broken insert gate makes it dramatic,
I decide to use this concept in my new painting as background but still in dbout what to use in front.
One of my ideas was to make a slightly different portrait of a female preferablly somebody I know like my daughter (No Dad! Not again!!) or my wife or sister.
I already started to draw some concepts but was not completely satisfied untill.......